"Love Bears the Load"
Love does a lot of heavy lifting. I was reading this morning about the amount the baby-boomer generation is sacrificing to care for sick and infirm parents and older relatives. In financial terms alone through forfeited income, early retirement, lowered pension and social security benefits, and out of pocket expenses the cost is quite significant, averaging in the hundreds of thousands of dollars. The article went on to describe the toll on the caregivers physically in some detail as well. Beyond the financial and physical cost is the emotional and psychological stress care giving exacts. But this is just one illustration of love's heavy lifting. There are countless others. That's because by its' nature love is giving. Love that is not prepared or willing to bear another's burden is not really love.
The Greek word "Steg", translated "Bear" in 1 Corinthians 13:7 ["Love bears all things"] also means "To roof over".
Love "roofs over". What might that mean? First of all, it indicates love must have structure. A roof doesn't just hang in the air. A roof is supported by structure, by walls. The walls take time to build, and love takes time to grow sturdy enough to "bear" another's burden. In construction the walls upon which the roof is set are referred to as "load bearing" walls. Our love must be of "load bearing" quality.
A little deeper digging reveals that the idea being expressed here by "Steg" is "to roof over with silence." Love bears by covering the one loved, even with silence when necessary. This harkens back to what we learned about love not being easily provoked, and not keeping score of wrongs suffered. Love that bears is ready to cover the shortcomings of the person loved. Love is also ready to not make an issue of not being reciprocated. That is another way love "roofs over"; treating others the way it would like to be treated, even when they don't.
A final sense of the word "Steg" is the idea that love "Bears up under". A person walking in love is prepared to bear up under pressures that will test that love, or stretch it. Forbearance and longsuffering are two essentials character qualities of the person walking in love.
[Inserted here: calculated crystals]
____________
# 1
For Nd3PdPt8, a structure optimized by DFT (PBE) gives the simulated X-ray diffraction stick pattern in this record (copper Kα).

Most intense lines, 2θ = 10–80°, in order of falling intensity:
- 2θ = 38.7°, rel. 100
- 2θ = 40.5°, rel. 55
- 2θ = 62.5°, rel. 30
- 2θ = 68.8°, rel. 29
- 2θ = 19.9°, rel. 21
- 2θ = 32.8°, rel. 17
- 2θ = 47.1°, rel. 12
- 2θ = 51.6°, rel. 6
- 2θ = 58.6°, rel. 5
- 2θ = 72.4°, rel. 4

Crystal structure
Lattice parameters (Å, degrees): 9.444 9.444 9.444 33.61 33.61 33.61
Element x y z (fractional)
Nd 0.000 0.000 0.000
Nd 0.131 0.131 0.131
Nd 0.610 0.610 0.610
Pd 0.490 0.490 0.490
Pt 0.059 0.059 0.564
Pt 0.059 0.564 0.059
Pt 0.061 0.560 0.560
Pt 0.310 0.310 0.310
Pt 0.560 0.061 0.560
Pt 0.560 0.560 0.061
Pt 0.564 0.059 0.059
Pt 0.811 0.811 0.811

# 2
For Nd2Pd3Pt2, a structure optimized by DFT (PBE) gives the simulated X-ray diffraction stick pattern in this record (copper Kα).

Most intense lines, 2θ = 10–80°, in order of falling intensity:
- 2θ = 40.2°, rel. 100
- 2θ = 30.1°, rel. 91
- 2θ = 33.8°, rel. 60
- 2θ = 43.1°, rel. 47
- 2θ = 37.1°, rel. 41
- 2θ = 75.1°, rel. 39
- 2θ = 55.9°, rel. 29
- 2θ = 45.9°, rel. 26
- 2θ = 62.6°, rel. 24
- 2θ = 60.4°, rel. 22

Crystal structure
Lattice parameters (Å, degrees): 7.265 7.265 7.265 109.47 109.47 109.47
Element x y z (fractional)
Nd 0.000 0.519 0.500
Nd 0.500 0.000 0.519
Nd 0.519 0.500 0.000
Nd 0.981 0.981 0.981
Pd 0.018 0.268 0.750
Pd 0.232 0.250 0.482
Pd 0.250 0.482 0.232
Pd 0.268 0.750 0.018
Pd 0.482 0.232 0.250
Pd 0.750 0.018 0.268
Pt 0.000 0.889 0.500
Pt 0.500 0.000 0.889
Pt 0.611 0.611 0.611
Pt 0.889 0.500 0.000

# 3
For Nd2Pd5Pt5, a structure optimized by DFT (PBE) gives the simulated X-ray diffraction stick pattern in this record (copper Kα).

Most intense lines, 2θ = 10–80°, in order of falling intensity:
- 2θ = 39.0°, rel. 100
- 2θ = 33.2°, rel. 30
- 2θ = 43.7°, rel. 29
- 2θ = 40.5°, rel. 28
- 2θ = 19.0°, rel. 22
- 2θ = 63.2°, rel. 18
- 2θ = 72.7°, rel. 16
- 2θ = 38.5°, rel. 12
- 2θ = 69.8°, rel. 11
- 2θ = 53.3°, rel. 9

Crystal structure
Lattice parameters (Å, degrees): 4.457 5.403 9.332 90.00 90.00 90.00
Element x y z (fractional)
Nd 0.000 0.000 0.000
Nd 0.000 0.500 0.500
Pd 0.500 0.000 0.500
Pd 0.500 0.249 0.250
Pd 0.500 0.249 0.750
Pd 0.500 0.751 0.250
Pd 0.500 0.751 0.750
Pt 0.000 0.000 0.334
Pt 0.000 0.000 0.666
Pt 0.000 0.500 0.165
Pt 0.000 0.500 0.835
Pt 0.500 0.500 0.000

# 4
For Nd2Sb4Pd3Pt, a structure optimized by DFT (PBE) gives the simulated X-ray diffraction stick pattern in this record (copper Kα).

Most intense lines, 2θ = 10–80°, in order of falling intensity:
- 2θ = 32.1°, rel. 100
- 2θ = 38.9°, rel. 69
- 2θ = 31.7°, rel. 48
- 2θ = 43.7°, rel. 31
- 2θ = 66.2°, rel. 27
- 2θ = 51.0°, rel. 25
- 2θ = 56.2°, rel. 24
- 2θ = 46.8°, rel. 19
- 2θ = 62.4°, rel. 16
- 2θ = 59.0°, rel. 14

Crystal structure
Lattice parameters (Å, degrees): 4.627 4.627 10.705 90.00 90.00 90.00
Element x y z (fractional)
Nd 0.000 0.500 0.236
Nd 0.500 0.000 0.764
____________
Love is ready to carry the burden of another, "roof over" with silence another's short comings, or not being treated in kind, and "bear up under", the pressures against such love being displayed. It's quite a tall order fellow Mountain Taker. Aren't you glad we aren't on our own?! No wonder love is such a strong demonstration of the Kingdom of God. It's His nature displayed!
Love does a lot of heavy lifting. I was reading this morning about the amount the baby-boomer generation is sacrificing to care for sick and infirm parents and older relatives. In financial terms alone through forfeited income, early retirement, lowered pension and social security benefits, and out of pocket expenses the cost is quite significant, averaging in the hundreds of thousands of dollars. The article went on to describe the toll on the caregivers physically in some detail as well. Beyond the financial and physical cost is the emotional and psychological stress care giving exacts. But this is just one illustration of love's heavy lifting. There are countless others. That's because by its' nature love is giving. Love that is not prepared or willing to bear another's burden is not really love.
The Greek word "Steg", translated "Bear" in 1 Corinthians 13:7 ["Love bears all things"] also means "To roof over".
Love "roofs over". What might that mean? First of all, it indicates love must have structure. A roof doesn't just hang in the air. A roof is supported by structure, by walls. The walls take time to build, and love takes time to grow sturdy enough to "bear" another's burden. In construction the walls upon which the roof is set are referred to as "load bearing" walls. Our love must be of "load bearing" quality.
A little deeper digging reveals that the idea being expressed here by "Steg" is "to roof over with silence." Love bears by covering the one loved, even with silence when necessary. This harkens back to what we learned about love not being easily provoked, and not keeping score of wrongs suffered. Love that bears is ready to cover the shortcomings of the person loved. Love is also ready to not make an issue of not being reciprocated. That is another way love "roofs over"; treating others the way it would like to be treated, even when they don't.
A final sense of the word "Steg" is the idea that love "Bears up under". A person walking in love is prepared to bear up under pressures that will test that love, or stretch it. Forbearance and longsuffering are two essentials character qualities of the person walking in love.
Love is ready to carry the burden of another, "roof over" with silence another's short comings, or not being treated in kind, and "bear up under", the pressures against such love being displayed. It's quite a tall order fellow Mountain Taker. Aren't you glad we aren't on our own?! No wonder love is such a strong demonstration of the Kingdom of God. It's His nature displayed!